Assignment:
Please transcribe the whole of the block underneath verbatim.
Entries:
No. 1
Material: Na4Ni3P4O15
Method: DFT, PBE with a Hubbard U
State: optimized geometry

Values from the calculation:
MP2020-corrected energy = -721.35 eV per cell
Crystal system = orthorhombic
Uncorrected energy = -6.247 eV per atom
Formation energy from the elements = -2.38 eV/atom
M_tot = 6.0 μB/f.u.

a = 18.238 Å, b = 10.509 Å, c = 6.566 Å
α = 90.00°, β = 90.00°, γ = 90.00°
Space group Pna2_1 (No. 33)
Symmetry-distinct sites (fractional):
Na 0.006 0.025 0.000
Na 0.039 0.459 0.147
Na 0.109 0.736 0.400
Na 0.203 0.251 0.964
Ni 0.139 0.005 0.724
Ni 0.170 0.496 0.713
Ni 0.239 0.756 0.989
P 0.050 0.274 0.678
P 0.071 0.734 0.867
P 0.179 0.011 0.231
P 0.210 0.497 0.221
O 0.006 0.350 0.834
O 0.010 0.306 0.455
O 0.046 0.129 0.707
O 0.059 0.863 0.757
O 0.086 0.627 0.716
O 0.126 0.741 0.041
O 0.127 0.984 0.411
O 0.129 0.319 0.654
O 0.135 0.043 0.038
O 0.160 0.525 0.402
O 0.163 0.463 0.033
O 0.232 0.894 0.207
O 0.233 0.886 0.759
O 0.235 0.124 0.265
O 0.237 0.115 0.689


No. 2
Material: NaNi4P3O12
Method: DFT, PBE with a Hubbard U
State: optimized geometry

Values from the calculation:
MP2020-corrected energy = -573.39 eV per cell
Energy relative to the lowest polymorph listed for this composition = 2 meV/atom
Crystal system = orthorhombic
Uncorrected energy = -6.247 eV per atom
Formation energy from the elements = -2.16 eV/atom
M_tot = 8.0 μB/f.u.

a = 9.555 Å, b = 16.141 Å, c = 6.156 Å
α = 90.00°, β = 90.00°, γ = 90.00°
Space group Pnnm (No. 58)
Symmetry-distinct sites (fractional):
Na 0.221 0.035 0.000
Ni 0.006 0.141 0.500
Ni 0.035 0.593 0.000
Ni 0.248 0.296 0.250
P 0.043 0.660 0.500
P 0.044 0.218 0.000
P 0.207 0.965 0.500
O 0.094 0.613 0.300
O 0.106 0.180 0.209
O 0.106 0.310 0.000
O 0.115 0.751 0.500
O 0.117 0.776 0.000
O 0.119 0.329 0.500
O 0.133 0.480 0.000
O 0.137 0.049 0.500
O 0.161 0.911 0.297


> The highest M_tot belongs to which entry?

NaNi4P3O12


> Number 1 is which compound?

Na4Ni3P4O15


> What is the formation energy from the elements in the first record?

-2.38 eV/atom

~~~~~

[1]
Density functional theory data (PBE+U) for a geometry-optimized Ca11Cr7O28 structure.

```
Ca11Cr7O28
1.0
13.206 -5.428 0.000
13.206 5.428 0.000
10.976 0.000 9.132
Ca Cr O
22 14 56
Cartesian
34.406 0.000 8.404
27.165 0.000 6.635
24.259 -2.206 7.352
24.299 2.303 7.188
25.205 -0.097 3.477
20.300 -2.013 6.341
17.487 0.097 8.043
20.364 2.170 6.077
21.192 -0.157 2.690
16.639 2.989 6.035
18.771 -3.222 2.786
16.707 -3.153 5.760
18.811 3.124 2.622
13.473 0.157 7.256
17.935 0.164 0.730
15.712 0.000 3.838
14.812 -3.414 1.775
14.876 3.257 1.511
10.216 -0.164 5.297
11.151 2.438 1.469
11.219 -2.275 1.194
8.471 0.000 2.069
37.153 0.000 9.075
20.747 -2.381 0.259
18.595 -2.855 9.069
19.574 5.236 5.062
27.900 -2.724 8.723
28.000 2.967 8.313
29.119 -0.244 3.730
18.459 0.000 4.509
13.029 2.381 4.825
13.108 -2.573 4.503
14.086 0.192 0.496
22.412 -2.704 4.157
22.512 2.460 3.747
21.401 0.244 8.296
1.487 0.000 0.363
25.098 -0.794 1.143
23.211 -3.799 8.871
23.537 4.593 7.535
22.340 -1.717 0.535
20.286 -3.282 8.947
20.992 4.999 6.057
20.009 1.362 0.808
7.187 -1.409 0.797
7.145 1.511 0.968
19.713 -1.330 1.168
18.179 -2.403 7.450
18.318 2.751 7.728
18.726 3.734 5.212
18.878 -4.113 5.436
17.283 2.998 0.865
16.963 -2.346 1.263
15.506 1.325 8.138
6.566 -0.102 3.339
28.559 -1.364 7.894
28.596 1.455 7.742
15.485 -1.250 7.314
26.249 -3.021 8.336
26.293 3.130 8.153
29.157 -0.091 5.447
16.738 -4.323 3.094
16.449 3.597 3.366
27.535 -0.108 3.070
20.181 0.000 4.929
17.380 0.794 5.709
17.723 -1.629 4.305
18.049 0.835 2.968
14.622 1.717 5.102
14.798 -2.146 4.380
15.504 0.429 1.491
12.290 -1.362 5.374
11.995 1.330 5.734
25.881 1.409 5.363
25.839 -1.511 5.534
12.831 2.677 3.162
12.691 -3.024 2.884
13.390 -1.315 0.870
13.238 1.694 0.645
22.771 2.430 5.431
22.451 -3.081 5.829
23.225 -1.325 3.572
25.260 0.102 7.906
9.865 1.364 3.328
9.902 -1.455 3.176
23.203 1.250 2.748
20.761 -2.406 3.770
20.805 2.298 3.587
10.463 0.091 0.880
22.226 -1.105 7.660
21.937 1.831 7.932
19.816 0.108 7.636
Outcome:
No. 1
Material: Na4Ni3P4O15
Method: DFT, PBE with a Hubbard U
State: optimized geometry

Values from the calculation:
MP2020-corrected energy = -721.35 eV per cell
Crystal system = orthorhombic
Uncorrected energy = -6.247 eV per atom
Formation energy from the elements = -2.38 eV/atom
M_tot = 6.0 μB/f.u.

a = 18.238 Å, b = 10.509 Å, c = 6.566 Å
α = 90.00°, β = 90.00°, γ = 90.00°
Space group Pna2_1 (No. 33)
Symmetry-distinct sites (fractional):
Na 0.006 0.025 0.000
Na 0.039 0.459 0.147
Na 0.109 0.736 0.400
Na 0.203 0.251 0.964
Ni 0.139 0.005 0.724
Ni 0.170 0.496 0.713
Ni 0.239 0.756 0.989
P 0.050 0.274 0.678
P 0.071 0.734 0.867
P 0.179 0.011 0.231
P 0.210 0.497 0.221
O 0.006 0.350 0.834
O 0.010 0.306 0.455
O 0.046 0.129 0.707
O 0.059 0.863 0.757
O 0.086 0.627 0.716
O 0.126 0.741 0.041
O 0.127 0.984 0.411
O 0.129 0.319 0.654
O 0.135 0.043 0.038
O 0.160 0.525 0.402
O 0.163 0.463 0.033
O 0.232 0.894 0.207
O 0.233 0.886 0.759
O 0.235 0.124 0.265
O 0.237 0.115 0.689


No. 2
Material: NaNi4P3O12
Method: DFT, PBE with a Hubbard U
State: optimized geometry

Values from the calculation:
MP2020-corrected energy = -573.39 eV per cell
Energy relative to the lowest polymorph listed for this composition = 2 meV/atom
Crystal system = orthorhombic
Uncorrected energy = -6.247 eV per atom
Formation energy from the elements = -2.16 eV/atom
M_tot = 8.0 μB/f.u.

a = 9.555 Å, b = 16.141 Å, c = 6.156 Å
α = 90.00°, β = 90.00°, γ = 90.00°
Space group Pnnm (No. 58)
Symmetry-distinct sites (fractional):
Na 0.221 0.035 0.000
Ni 0.006 0.141 0.500
Ni 0.035 0.593 0.000
Ni 0.248 0.296 0.250
P 0.043 0.660 0.500
P 0.044 0.218 0.000
P 0.207 0.965 0.500
O 0.094 0.613 0.300
O 0.106 0.180 0.209
O 0.106 0.310 0.000
O 0.115 0.751 0.500
O 0.117 0.776 0.000
O 0.119 0.329 0.500
O 0.133 0.480 0.000
O 0.137 0.049 0.500
O 0.161 0.911 0.297


> The highest M_tot belongs to which entry?

NaNi4P3O12


> Number 1 is which compound?

Na4Ni3P4O15


> What is the formation energy from the elements in the first record?

-2.38 eV/atom

~~~~~

[1]
Density functional theory data (PBE+U) for a geometry-optimized Ca11Cr7O28 structure.

```
Ca11Cr7O28
1.0
13.206 -5.428 0.000
13.206 5.428 0.000
10.976 0.000 9.132
Ca Cr O
22 14 56
Cartesian
34.406 0.000 8.404
27.165 0.000 6.635
24.259 -2.206 7.352
24.299 2.303 7.188
25.205 -0.097 3.477
20.300 -2.013 6.341
17.487 0.097 8.043
20.364 2.170 6.077
21.192 -0.157 2.690
16.639 2.989 6.035
18.771 -3.222 2.786
16.707 -3.153 5.760
18.811 3.124 2.622
13.473 0.157 7.256
17.935 0.164 0.730
15.712 0.000 3.838
14.812 -3.414 1.775
14.876 3.257 1.511
10.216 -0.164 5.297
11.151 2.438 1.469
11.219 -2.275 1.194
8.471 0.000 2.069
37.153 0.000 9.075
20.747 -2.381 0.259
18.595 -2.855 9.069
19.574 5.236 5.062
27.900 -2.724 8.723
28.000 2.967 8.313
29.119 -0.244 3.730
18.459 0.000 4.509
13.029 2.381 4.825
13.108 -2.573 4.503
14.086 0.192 0.496
22.412 -2.704 4.157
22.512 2.460 3.747
21.401 0.244 8.296
1.487 0.000 0.363
25.098 -0.794 1.143
23.211 -3.799 8.871
23.537 4.593 7.535
22.340 -1.717 0.535
20.286 -3.282 8.947
20.992 4.999 6.057
20.009 1.362 0.808
7.187 -1.409 0.797
7.145 1.511 0.968
19.713 -1.330 1.168
18.179 -2.403 7.450
18.318 2.751 7.728
18.726 3.734 5.212
18.878 -4.113 5.436
17.283 2.998 0.865
16.963 -2.346 1.263
15.506 1.325 8.138
6.566 -0.102 3.339
28.559 -1.364 7.894
28.596 1.455 7.742
15.485 -1.250 7.314
26.249 -3.021 8.336
26.293 3.130 8.153
29.157 -0.091 5.447
16.738 -4.323 3.094
16.449 3.597 3.366
27.535 -0.108 3.070
20.181 0.000 4.929
17.380 0.794 5.709
17.723 -1.629 4.305
18.049 0.835 2.968
14.622 1.717 5.102
14.798 -2.146 4.380
15.504 0.429 1.491
12.290 -1.362 5.374
11.995 1.330 5.734
25.881 1.409 5.363
25.839 -1.511 5.534
12.831 2.677 3.162
12.691 -3.024 2.884
13.390 -1.315 0.870
13.238 1.694 0.645
22.771 2.430 5.431
22.451 -3.081 5.829
23.225 -1.325 3.572
25.260 0.102 7.906
9.865 1.364 3.328
9.902 -1.455 3.176
23.203 1.250 2.748
20.761 -2.406 3.770
20.805 2.298 3.587
10.463 0.091 0.880
22.226 -1.105 7.660
21.937 1.831 7.932
19.816 0.108 7.636